Entries >
+++
Entry 1:
Below is a relaxed ErAg2Pd9 crystal, with properties calculated at the PBE level.

a b c (Å): 4.043 4.043 12.052
angles (deg): 90.00 90.00 90.00
Element x y z (fractional)
Er: 0.000 0.000 0.000
Ag: 0.000 0.000 0.337
Ag: 0.000 0.000 0.663
Pd: 0.500 0.500 0.000
Pd: 0.500 0.500 0.336
Pd: 0.500 0.500 0.664
Pd: 0.500 0.000 0.172
Pd: 0.500 0.000 0.500
Pd: 0.500 0.000 0.828
Pd: 0.000 0.500 0.172
Pd: 0.000 0.500 0.500
Pd: 0.000 0.500 0.828

As for the calculated total energy: -0.18558 Ha/atom. As for the crystal system: tetragonal.

---

Entry 2:
Below is a relaxed AlC4NCl2 crystal, with properties calculated at the PBE level.

a b c (Å): 9.439 4.691 8.409
angles (deg): 89.75 90.00 90.00
Last column: magnetic moment on the atom in μB.
Element x y z (fractional)
C: 0.247 0.547 0.048  0.42
C: 0.747 0.453 0.952  0.42
C: 0.747 0.491 0.101  -0.08
C: 0.247 0.509 0.899  -0.08
C: 0.247 0.509 0.606  -0.08
C: 0.747 0.491 0.394  -0.08
C: 0.247 0.548 0.456  0.42
C: 0.747 0.452 0.544  0.42
Cl: 0.438 0.002 0.251  0.05
Cl: 0.938 0.998 0.749  0.05
Cl: 0.557 0.998 0.749  0.05
Cl: 0.057 0.002 0.251  0.05
Al: 0.247 0.750 0.252  -0.01
Al: 0.747 0.250 0.748  -0.01
N: 0.247 0.483 0.752  0.36
N: 0.747 0.517 0.248  0.36

As for the calculated total energy: -0.23047 Ha/atom. As for the crystal system: monoclinic. As for the formation energy (no corrections): 2.5 eV/f.u.

---

Entry 3:
Below is a relaxed Li4U3CdSe8 crystal, with properties calculated at the PBE level.

a b c (Å): 8.046 8.063 8.047
angles (deg): 119.94 120.00 90.00
Last column: magnetic moment on the atom in μB.
Element x y z (fractional)
Li: 0.500 0.000 0.000  0.00
Li: 0.500 0.000 0.500  0.00
Li: 0.000 0.000 0.000  0.00
Li: 0.000 0.000 0.500  0.00
U: 0.500 0.500 0.000  -2.52
U: 0.500 0.500 0.500  -2.52
U: 0.000 0.500 0.500  -2.52
Cd: 0.000 0.500 0.000  -0.01
Se: 0.253 0.758 0.005  0.05
Se: 0.253 0.758 0.506  0.05
Se: 0.247 0.240 0.493  0.06
Se: 0.752 0.758 0.005  0.05
Se: 0.248 0.242 0.995  0.05
Se: 0.753 0.760 0.507  0.06
Se: 0.747 0.242 0.494  0.05
Se: 0.747 0.242 0.995  0.05

As for the calculated total energy: -0.20200 Ha/atom. As for the crystal system: trigonal. As for the formation energy (no corrections): -17.6 eV/f.u.

---

Entry 4:
Below is a relaxed MgSb2P crystal, with properties calculated at the PBE level.

a b c (Å): 5.040 5.040 5.040
angles (deg): 60.00 60.00 60.00
Element x y z (fractional)
Sb: 0.250 0.250 0.250
Sb: 0.750 0.750 0.750
Mg: 0.000 0.000 0.000
P: 0.500 0.500 0.500

The calculation puts the energy above the most stable polymorph in this dataset at 0.340 eV/atom. As for the calculated total energy: -0.12960 Ha/atom. As for the crystal system: cubic. As for the formation energy (no corrections): 1.1 eV/f.u.

---

Entry 5:
Below is a relaxed Ce2NbAl crystal, with properties calculated at the PBE level.

a b c (Å): 3.014 3.014 11.324
angles (deg): 82.35 82.35 60.00
Element x y z (fractional)
Nb: 0.000 0.000 0.000
Al: 0.500 0.500 0.500
Ce: 0.086 0.086 0.743
Ce: 0.914 0.914 0.257

The calculation puts the energy above the most stable polymorph in this dataset at 0.293 eV/atom. As for the calculated total energy: -0.22738 Ha/atom. As for the crystal system: trigonal.

---

Entry 6:
Below is a relaxed NaDyEr4S8 crystal, with properties calculated at the PBE level.

a b c (Å): 8.032 8.032 8.054
angles (deg): 60.09 60.09 60.00
Element x y z (fractional)
Na: 0.375 0.375 0.876
Dy: 0.005 0.005 0.986
Er: 0.625 0.625 0.124
Er: 0.005 0.486 0.504
Er: 0.486 0.005 0.504
Er: 0.005 0.005 0.504
S: 0.240 0.783 0.737
S: 0.783 0.240 0.737
S: 0.240 0.240 0.737
S: 0.239 0.239 0.284
S: 0.757 0.227 0.260
S: 0.227 0.757 0.260
S: 0.757 0.757 0.260
S: 0.758 0.758 0.726

As for the calculated total energy: -0.22216 Ha/atom. As for the crystal system: trigonal. As for the formation energy (no corrections): -27.4 eV/f.u.

---

> Which of these has the lowest calculated total energy?

AlC4NCl2

---

> Among the records above, which one has the highest calculated total energy?

MgSb2P

---
+++
To do >
Could you type out everything earlier on unchanged?
Here it is >
Entry 1:
Below is a relaxed ErAg2Pd9 crystal, with properties calculated at the PBE level.

a b c (Å): 4.043 4.043 12.052
angles (deg): 90.00 90.00 90.00
Element x y z (fractional)
Er: 0.000 0.000 0.000
Ag: 0.000 0.000 0.337
Ag: 0.000 0.000 0.663
Pd: 0.500 0.500 0.000
Pd: 0.500 0.500 0.336
Pd: 0.500 0.500 0.664
Pd: 0.500 0.000 0.172
Pd: 0.500 0.000 0.500
Pd: 0.500 0.000 0.828
Pd: 0.000 0.500 0.172
Pd: 0.000 0.500 0.500
Pd: 0.000 0.500 0.828

As for the calculated total energy: -0.18558 Ha/atom. As for the crystal system: tetragonal.

---

Entry 2:
Below is a relaxed AlC4NCl2 crystal, with properties calculated at the PBE level.

a b c (Å): 9.439 4.691 8.409
angles (deg): 89.75 90.00 90.00
Last column: magnetic moment on the atom in μB.
Element x y z (fractional)
C: 0.247 0.547 0.048  0.42
C: 0.747 0.453 0.952  0.42
C: 0.747 0.491 0.101  -0.08
C: 0.247 0.509 0.899  -0.08
C: 0.247 0.509 0.606  -0.08
C: 0.747 0.491 0.394  -0.08
C: 0.247 0.548 0.456  0.42
C: 0.747 0.452 0.544  0.42
Cl: 0.438 0.002 0.251  0.05
Cl: 0.938 0.998 0.749  0.05
Cl: 0.557 0.998 0.749  0.05
Cl: 0.057 0.002 0.251  0.05
Al: 0.247 0.750 0.252  -0.01
Al: 0.747 0.250 0.748  -0.01
N: 0.247 0.483 0.752  0.36
N: 0.747 0.517 0.248  0.36

As for the calculated total energy: -0.23047 Ha/atom. As for the crystal system: monoclinic. As for the formation energy (no corrections): 2.5 eV/f.u.

---

Entry 3:
Below is a relaxed Li4U3CdSe8 crystal, with properties calculated at the PBE level.

a b c (Å): 8.046 8.063 8.047
angles (deg): 119.94 120.00 90.00
Last column: magnetic moment on the atom in μB.
Element x y z (fractional)
Li: 0.500 0.000 0.000  0.00
Li: 0.500 0.000 0.500  0.00
Li: 0.000 0.000 0.000  0.00
Li: 0.000 0.000 0.500  0.00
U: 0.500 0.500 0.000  -2.52
U: 0.500 0.500 0.500  -2.52
U: 0.000 0.500 0.500  -2.52
Cd: 0.000 0.500 0.000  -0.01
Se: 0.253 0.758 0.005  0.05
Se: 0.253 0.758 0.506  0.05
Se: 0.247 0.240 0.493  0.06
Se: 0.752 0.758 0.005  0.05
Se: 0.248 0.242 0.995  0.05
Se: 0.753 0.760 0.507  0.06
Se: 0.747 0.242 0.494  0.05
Se: 0.747 0.242 0.995  0.05

As for the calculated total energy: -0.20200 Ha/atom. As for the crystal system: trigonal. As for the formation energy (no corrections): -17.6 eV/f.u.

---

Entry 4:
Below is a relaxed MgSb2P crystal, with properties calculated at the PBE level.

a b c (Å): 5.040 5.040 5.040
angles (deg): 60.00 60.00 60.00
Element x y z (fractional)
Sb: 0.250 0.250 0.250
Sb: 0.750 0.750 0.750
Mg: 0.000 0.000 0.000
P: 0.500 0.500 0.500

The calculation puts the energy above the most stable polymorph in this dataset at 0.340 eV/atom. As for the calculated total energy: -0.12960 Ha/atom. As for the crystal system: cubic. As for the formation energy (no corrections): 1.1 eV/f.u.

---

Entry 5:
Below is a relaxed Ce2NbAl crystal, with properties calculated at the PBE level.

a b c (Å): 3.014 3.014 11.324
angles (deg): 82.35 82.35 60.00
Element x y z (fractional)
Nb: 0.000 0.000 0.000
Al: 0.500 0.500 0.500
Ce: 0.086 0.086 0.743
Ce: 0.914 0.914 0.257

The calculation puts the energy above the most stable polymorph in this dataset at 0.293 eV/atom. As for the calculated total energy: -0.22738 Ha/atom. As for the crystal system: trigonal.

---

Entry 6:
Below is a relaxed NaDyEr4S8 crystal, with properties calculated at the PBE level.

a b c (Å): 8.032 8.032 8.054
angles (deg): 60.09 60.09 60.00
Element x y z (fractional)
Na: 0.375 0.375 0.876
Dy: 0.005 0.005 0.986
Er: 0.625 0.625 0.124
Er: 0.005 0.486 0.504
Er: 0.486 0.005 0.504
Er: 0.005 0.005 0.504
S: 0.240 0.783 0.737
S: 0.783 0.240 0.737
S: 0.240 0.240 0.737
S: 0.239 0.239 0.284
S: 0.757 0.227 0.260
S: 0.227 0.757 0.260
S: 0.757 0.757 0.260
S: 0.758 0.758 0.726

As for the calculated total energy: -0.22216 Ha/atom. As for the crystal system: trigonal. As for the formation energy (no corrections): -27.4 eV/f.u.

---

> Which of these has the lowest calculated total energy?

AlC4NCl2

---

> Among the records above, which one has the highest calculated total energy?

MgSb2P

---